== Input ==
=====
[1]
C14H28B3F8N4O4P2Ti as an isolated structure at a distorted geometry, computed with wB97M-V/def2-TZVPD.

Calculated values
ΔE to the lowest compared entry with this formula, charge and spin = 4.79 kcal per mole
Lowest unoccupied orbital energy = -0.2010 hartree
Net charge = +1
Multiplicity = 1
Calculated total energy = -94593.4875 eV
Highest occupied orbital energy = -12.6 eV
Orbital gap = 7.14 eV

Each line ends with the Mulliken charge.
Element x y z (Å)
Ti (0.498, 0.191, 0.511)  -1.74
C (-3.598, 1.035, 1.845)  -1.93
C (-2.203, 0.575, 1.640)  0.23
N (-1.504, 0.887, 0.608)  1.71
O (-2.155, 1.580, -0.376)  -0.62
B (-2.371, 0.689, -1.562)  0.64
F (-2.928, -0.506, -1.144)  -0.41
F (-3.075, 1.393, -2.477)  -0.30
O (-1.028, 0.379, -2.204)  -0.77
N (-0.229, -0.388, -1.413)  1.78
C (-0.069, -1.609, -1.797)  0.44
C (-0.649, -2.194, -3.030)  -2.11
C (0.730, -2.418, -0.864)  0.13
N (1.118, -1.744, 0.157)  1.54
O (1.808, -2.342, 1.146)  -0.61
B (0.860, -2.834, 2.250)  0.63
F (-0.170, -3.519, 1.626)  -0.37
F (1.595, -3.533, 3.126)  -0.29
O (0.272, -1.648, 2.959)  -0.70
N (-0.416, -0.814, 2.161)  1.28
C (-1.535, -0.356, 2.591)  0.68
C (-2.156, -0.750, 3.877)  -2.05
C (1.000, -3.861, -1.055)  -2.07
H (-4.272, 0.344, 1.329)  0.30
H (-3.738, 2.015, 1.397)  0.37
H (-3.856, 1.053, 2.900)  0.57
H (-1.174, -1.441, -3.605)  0.44
H (-1.348, -2.986, -2.752)  0.36
H (0.135, -2.652, -3.636)  0.51
H (-1.576, -1.534, 4.351)  0.40
H (-3.179, -1.088, 3.707)  0.46
H (-2.198, 0.117, 4.541)  0.40
H (1.106, -4.108, -2.110)  0.54
H (0.163, -4.432, -0.643)  0.34
H (1.889, -4.150, -0.499)  0.41
C (4.151, 0.670, 0.485)  -1.48
P (2.819, 0.471, -0.729)  1.71
C (3.385, -0.940, -1.722)  -1.43
C (2.980, 1.899, -1.838)  -1.12
C (2.221, 3.069, -1.211)  -1.14
P (0.442, 2.614, -1.082)  1.80
C (-0.323, 4.045, -0.268)  -1.48
C (-0.101, 2.887, -2.798)  -1.63
H (5.104, 0.726, -0.043)  0.55
H (4.154, -0.185, 1.161)  0.35
H (4.011, 1.575, 1.074)  0.38
H (4.339, -0.682, -2.184)  0.60
H (2.671, -1.165, -2.516)  0.35
H (3.530, -1.815, -1.091)  0.33
H (2.537, 1.620, -2.797)  0.46
H (4.037, 2.099, -2.015)  0.62
H (2.340, 3.972, -1.813)  0.70
H (2.610, 3.284, -0.211)  0.45
H (-0.060, 4.101, 0.787)  0.25
H (-1.401, 3.961, -0.361)  0.34
H (0.015, 4.953, -0.772)  0.53
H (0.184, 3.901, -3.089)  0.57
H (-1.181, 2.777, -2.871)  0.38
H (0.347, 2.170, -3.482)  0.38
F (0.895, 2.155, 1.290)  -0.26
B (1.526, 1.780, 2.572)  -0.37
F (1.878, 0.408, 2.108)  -0.37
F (0.577, 1.712, 3.524)  -0.36
F (2.620, 2.508, 2.805)  -0.30

=====

[2]
One molecule with the formula C2H2F2 at a distorted geometry, computed with wB97M-V/def2-TZVPD.

Calculated values
ΔE to the lowest compared entry with this formula, charge and spin = 18.43 kcal per mole
Lowest unoccupied orbital energy = 0.0360 hartree
Net charge = 0
Multiplicity = 1
Calculated total energy = -7539.7391 eV
SMILES = F/C=C\F
Highest occupied orbital energy = -9.8 eV
Orbital gap = 10.82 eV

Each line ends with the Mulliken charge.
Element x y z (Å)
F (-1.496, -0.505, -0.001)  -0.21
C (-0.654, 0.532, -0.021)  -0.07
C (0.704, 0.553, -0.029)  -0.02
F (1.443, -0.545, 0.017)  -0.22
H (-1.210, 1.559, 0.159)  0.22
H (1.387, 1.387, -0.004)  0.31

=====

[3]
One molecule with the formula C5H6O2 at a distorted geometry, computed with wB97M-V/def2-TZVPD.

Calculated values
ΔE to the lowest compared entry with this formula, charge and spin = 82.29 kcal per mole
Lowest unoccupied orbital energy = 0.0197 hartree
Net charge = 0
Multiplicity = 1
Calculated total energy = -9373.5270 eV
SMILES = C#C[C@@H](C)OC=O
Highest occupied orbital energy = -9.4 eV
Orbital gap = 9.98 eV

Each line ends with the Mulliken charge.
Element x y z (Å)
C (1.549, -1.554, 0.011)  -0.18
C (0.572, -0.890, 0.249)  -0.42
C (0.249, 0.516, 0.273)  0.50
C (0.317, 1.209, -1.076)  -1.16
O (-1.300, 0.638, 0.798)  -0.36
C (-1.785, -0.595, 0.996)  0.29
O (-2.853, -1.011, 1.355)  -0.49
H (2.362, -2.198, -0.170)  0.41
H (0.865, 1.001, 1.041)  0.24
H (-0.174, 0.604, -1.843)  0.32
=====

== Brief ==
Start at the top of the rows earlier on and give back each line, ending with the one that has "0.0197 hartree".

== Solution ==
[1]
C14H28B3F8N4O4P2Ti as an isolated structure at a distorted geometry, computed with wB97M-V/def2-TZVPD.

Calculated values
ΔE to the lowest compared entry with this formula, charge and spin = 4.79 kcal per mole
Lowest unoccupied orbital energy = -0.2010 hartree
Net charge = +1
Multiplicity = 1
Calculated total energy = -94593.4875 eV
Highest occupied orbital energy = -12.6 eV
Orbital gap = 7.14 eV

Each line ends with the Mulliken charge.
Element x y z (Å)
Ti (0.498, 0.191, 0.511)  -1.74
C (-3.598, 1.035, 1.845)  -1.93
C (-2.203, 0.575, 1.640)  0.23
N (-1.504, 0.887, 0.608)  1.71
O (-2.155, 1.580, -0.376)  -0.62
B (-2.371, 0.689, -1.562)  0.64
F (-2.928, -0.506, -1.144)  -0.41
F (-3.075, 1.393, -2.477)  -0.30
O (-1.028, 0.379, -2.204)  -0.77
N (-0.229, -0.388, -1.413)  1.78
C (-0.069, -1.609, -1.797)  0.44
C (-0.649, -2.194, -3.030)  -2.11
C (0.730, -2.418, -0.864)  0.13
N (1.118, -1.744, 0.157)  1.54
O (1.808, -2.342, 1.146)  -0.61
B (0.860, -2.834, 2.250)  0.63
F (-0.170, -3.519, 1.626)  -0.37
F (1.595, -3.533, 3.126)  -0.29
O (0.272, -1.648, 2.959)  -0.70
N (-0.416, -0.814, 2.161)  1.28
C (-1.535, -0.356, 2.591)  0.68
C (-2.156, -0.750, 3.877)  -2.05
C (1.000, -3.861, -1.055)  -2.07
H (-4.272, 0.344, 1.329)  0.30
H (-3.738, 2.015, 1.397)  0.37
H (-3.856, 1.053, 2.900)  0.57
H (-1.174, -1.441, -3.605)  0.44
H (-1.348, -2.986, -2.752)  0.36
H (0.135, -2.652, -3.636)  0.51
H (-1.576, -1.534, 4.351)  0.40
H (-3.179, -1.088, 3.707)  0.46
H (-2.198, 0.117, 4.541)  0.40
H (1.106, -4.108, -2.110)  0.54
H (0.163, -4.432, -0.643)  0.34
H (1.889, -4.150, -0.499)  0.41
C (4.151, 0.670, 0.485)  -1.48
P (2.819, 0.471, -0.729)  1.71
C (3.385, -0.940, -1.722)  -1.43
C (2.980, 1.899, -1.838)  -1.12
C (2.221, 3.069, -1.211)  -1.14
P (0.442, 2.614, -1.082)  1.80
C (-0.323, 4.045, -0.268)  -1.48
C (-0.101, 2.887, -2.798)  -1.63
H (5.104, 0.726, -0.043)  0.55
H (4.154, -0.185, 1.161)  0.35
H (4.011, 1.575, 1.074)  0.38
H (4.339, -0.682, -2.184)  0.60
H (2.671, -1.165, -2.516)  0.35
H (3.530, -1.815, -1.091)  0.33
H (2.537, 1.620, -2.797)  0.46
H (4.037, 2.099, -2.015)  0.62
H (2.340, 3.972, -1.813)  0.70
H (2.610, 3.284, -0.211)  0.45
H (-0.060, 4.101, 0.787)  0.25
H (-1.401, 3.961, -0.361)  0.34
H (0.015, 4.953, -0.772)  0.53
H (0.184, 3.901, -3.089)  0.57
H (-1.181, 2.777, -2.871)  0.38
H (0.347, 2.170, -3.482)  0.38
F (0.895, 2.155, 1.290)  -0.26
B (1.526, 1.780, 2.572)  -0.37
F (1.878, 0.408, 2.108)  -0.37
F (0.577, 1.712, 3.524)  -0.36
F (2.620, 2.508, 2.805)  -0.30

=====

[2]
One molecule with the formula C2H2F2 at a distorted geometry, computed with wB97M-V/def2-TZVPD.

Calculated values
ΔE to the lowest compared entry with this formula, charge and spin = 18.43 kcal per mole
Lowest unoccupied orbital energy = 0.0360 hartree
Net charge = 0
Multiplicity = 1
Calculated total energy = -7539.7391 eV
SMILES = F/C=C\F
Highest occupied orbital energy = -9.8 eV
Orbital gap = 10.82 eV

Each line ends with the Mulliken charge.
Element x y z (Å)
F (-1.496, -0.505, -0.001)  -0.21
C (-0.654, 0.532, -0.021)  -0.07
C (0.704, 0.553, -0.029)  -0.02
F (1.443, -0.545, 0.017)  -0.22
H (-1.210, 1.559, 0.159)  0.22
H (1.387, 1.387, -0.004)  0.31

=====

[3]
One molecule with the formula C5H6O2 at a distorted geometry, computed with wB97M-V/def2-TZVPD.

Calculated values
ΔE to the lowest compared entry with this formula, charge and spin = 82.29 kcal per mole
Lowest unoccupied orbital energy = 0.0197 hartree